## Work order
What is needed: type out the block below exactly.

## Contents
____________
Rb3Er2RhO6: relaxed, PBE-GGA.

Cell: 5.852 5.852 6.758 Å, 98.27 98.27 119.97°
Positions (direct):
Er 0.667 0.333 0.000
Rh 0.000 0.000 0.000
Rb 0.500 0.500 0.500
O 0.620 0.942 0.825
O 0.058 0.380 0.175
O 0.264 0.264 0.826
O 0.736 0.736 0.174
Er 0.333 0.667 0.000
Rb 0.837 0.163 0.500
O 0.380 0.058 0.175
Rb 0.163 0.837 0.500
O 0.942 0.620 0.825

Output
* ρ: 6830 kg/m3
* M_tot: 0.000 μB per cell
* uncorrected energy: -6.18 eV/atom
* formation energy (no corrections): -2.0809 eV per atom

* * * * *

Entry 1:
First-principles (PBE-GGA) data for Ce2NdHo3Bi6 after structural relaxation, as listed in the Alexandria database.

Unit cell a=4.5361 b=9.0612 c=10.1250 alpha=102.85 beta=102.94 gamma=90.00
Last column: nearest neighbours and their distance in Å.
Fractional positions:
Ce  0.8335  0.6676  0.6671  6 Bi 3.23-3.24
Ce  0.1665  0.3324  0.3329  6 Bi 3.23-3.24
Nd  0.5000  0.0000  0.0000  6 Bi 3.25
Ho  0.5000  0.5000  0.0000  6 Bi 3.16-3.17
Ho  0.8341  0.1665  0.6682  6 Bi 3.16-3.18
Ho  0.1659  0.8335  0.3318  6 Bi 3.16-3.18
Bi  0.3310  0.9208  0.6619  3 Ho 3.17, 2 Ce 3.23, 1 Nd 3.25
Bi  0.6650  0.5875  0.3300  3 Ho 3.17-3.18, 3 Ce 3.24
Bi  0.6690  0.0792  0.3381  3 Ho 3.17, 2 Ce 3.23, 1 Nd 3.25
Bi  0.9986  0.2560  0.9971  3 Ho 3.16, 1 Ce 3.23, 2 Nd 3.25
Bi  0.0014  0.7440  0.0029  3 Ho 3.16, 1 Ce 3.23, 2 Nd 3.25
Bi  0.3350  0.4125  0.6700  3 Ho 3.17-3.18, 3 Ce 3.24

Values from the calculation:
* formation energy: -0.84 eV per atom


Entry 2:
First-principles (PBE-GGA) data for LiTb5Rh6 after structural relaxation, as listed in the Alexandria database.

Unit cell a=4.7344 b=8.2524 c=8.2524 alpha=119.17 beta=106.67 gamma=106.67
Last column: nearest neighbours and their distance in Å.
Fractional positions:
Rh  0.2530  0.0864  0.4195  7 Tb 2.87-3.12, 1 Li 2.94
Rh  0.7470  0.5805  0.9136  7 Tb 2.87-3.12, 1 Li 2.94
Rh  0.7643  0.2643  0.2643  6 Tb 2.80-2.95, 2 Li 2.99
Rh  0.2357  0.7357  0.7357  6 Tb 2.80-2.95, 2 Li 2.99
Rh  0.2530  0.4195  0.0864  7 Tb 2.87-3.12, 1 Li 2.94
Rh  0.7470  0.9136  0.5805  7 Tb 2.87-3.12, 1 Li 2.94
Tb  0.5000  0.1498  0.8502  8 Rh 2.80-3.12
Tb  0.0000  0.3269  0.6731  8 Rh 2.87-2.95
Tb  0.5000  0.5000  0.5000  8 Rh 2.87-2.92
Tb  0.0000  0.6731  0.3269  8 Rh 2.87-2.95
Tb  0.5000  0.8502  0.1498  8 Rh 2.80-3.12
Li  0.0000  0.0000  0.0000  8 Rh 2.94-2.99, 4 Tb 3.19

Values from the calculation:
* formation energy: -0.75 eV per atom


Entry 3:
First-principles (PBE-GGA) data for Ba2SF after structural relaxation, as listed in the Alexandria database.

Unit cell a=4.3326 b=4.3326 c=7.3264 alpha=90.09 beta=107.14 gamma=119.94
Last column: nearest neighbours and their distance in Å.
Fractional positions:
Ba  0.4921  0.2461  0.7382  3 F 2.99, 3 S 3.08-3.09
Ba  0.5079  0.7539  0.2618  3 F 2.99, 3 S 3.08-3.09
S  0.0000  0.0000  0.0000  6 Ba 3.08-3.09
F  0.0000  0.4999  0.4999  6 Ba 2.99

Values from the calculation:
* calculated total energy: -19.08 eV for the cell shown


Entry 4:
First-principles (PBE-GGA) data for LaHo12Tm2 after structural relaxation, as listed in the Alexandria database.

Unit cell a=6.3507 b=6.3507 c=25.0539 alpha=90.00 beta=90.00 gamma=90.00
Last column: nearest neighbours and their distance in Å.
Fractional positions:
La  0.5000  0.0000  0.0000  4 Ho 3.43
La  0.0000  0.5000  0.0000  4 Ho 3.43
Ho  0.5000  0.5000  0.7813  5 Ho 3.07-3.39
Ho  0.0000  0.0000  0.7813  5 Ho 3.07-3.39
Ho  0.6822  0.8178  0.8798  7 Ho 3.27-3.39, 1 La 3.43
Ho  0.1822  0.6822  0.8798  7 Ho 3.27-3.39, 1 La 3.43
Ho  0.0000  0.0000  0.3412  5 Ho 3.07-3.41
Ho  0.3178  0.8178  0.1202  7 Ho 3.27-3.39, 1 La 3.43
Ho  0.8312  0.3312  0.5604  6 Ho 3.03-3.36
Ho  0.5000  0.5000  0.3412  5 Ho 3.07-3.41
Ho  0.3178  0.1822  0.8798  7 Ho 3.27-3.39, 1 La 3.43
Ho  0.8178  0.6822  0.1202  7 Ho 3.27-3.39, 1 La 3.43
Ho  0.3312  0.1688  0.5604  6 Ho 3.03-3.36
Ho  0.6688  0.1688  0.4396  6 Ho 3.03-3.36
Ho  0.0000  0.0000  0.6588  5 Ho 3.07-3.41
Ho  0.1688  0.3312  0.4396  6 Ho 3.03-3.36
Ho  0.1822  0.3178  0.1202  7 Ho 3.27-3.39, 1 La 3.43
____________

## Reply
Rb3Er2RhO6: relaxed, PBE-GGA.

Cell: 5.852 5.852 6.758 Å, 98.27 98.27 119.97°
Positions (direct):
Er 0.667 0.333 0.000
Rh 0.000 0.000 0.000
Rb 0.500 0.500 0.500
O 0.620 0.942 0.825
O 0.058 0.380 0.175
O 0.264 0.264 0.826
O 0.736 0.736 0.174
Er 0.333 0.667 0.000
Rb 0.837 0.163 0.500
O 0.380 0.058 0.175
Rb 0.163 0.837 0.500
O 0.942 0.620 0.825

Output
* ρ: 6830 kg/m3
* M_tot: 0.000 μB per cell
* uncorrected energy: -6.18 eV/atom
* formation energy (no corrections): -2.0809 eV per atom

* * * * *

Entry 1:
First-principles (PBE-GGA) data for Ce2NdHo3Bi6 after structural relaxation, as listed in the Alexandria database.

Unit cell a=4.5361 b=9.0612 c=10.1250 alpha=102.85 beta=102.94 gamma=90.00
Last column: nearest neighbours and their distance in Å.
Fractional positions:
Ce  0.8335  0.6676  0.6671  6 Bi 3.23-3.24
Ce  0.1665  0.3324  0.3329  6 Bi 3.23-3.24
Nd  0.5000  0.0000  0.0000  6 Bi 3.25
Ho  0.5000  0.5000  0.0000  6 Bi 3.16-3.17
Ho  0.8341  0.1665  0.6682  6 Bi 3.16-3.18
Ho  0.1659  0.8335  0.3318  6 Bi 3.16-3.18
Bi  0.3310  0.9208  0.6619  3 Ho 3.17, 2 Ce 3.23, 1 Nd 3.25
Bi  0.6650  0.5875  0.3300  3 Ho 3.17-3.18, 3 Ce 3.24
Bi  0.6690  0.0792  0.3381  3 Ho 3.17, 2 Ce 3.23, 1 Nd 3.25
Bi  0.9986  0.2560  0.9971  3 Ho 3.16, 1 Ce 3.23, 2 Nd 3.25
Bi  0.0014  0.7440  0.0029  3 Ho 3.16, 1 Ce 3.23, 2 Nd 3.25
Bi  0.3350  0.4125  0.6700  3 Ho 3.17-3.18, 3 Ce 3.24

Values from the calculation:
* formation energy: -0.84 eV per atom


Entry 2:
First-principles (PBE-GGA) data for LiTb5Rh6 after structural relaxation, as listed in the Alexandria database.

Unit cell a=4.7344 b=8.2524 c=8.2524 alpha=119.17 beta=106.67 gamma=106.67
Last column: nearest neighbours and their distance in Å.
Fractional positions:
Rh  0.2530  0.0864  0.4195  7 Tb 2.87-3.12, 1 Li 2.94
Rh  0.7470  0.5805  0.9136  7 Tb 2.87-3.12, 1 Li 2.94
Rh  0.7643  0.2643  0.2643  6 Tb 2.80-2.95, 2 Li 2.99
Rh  0.2357  0.7357  0.7357  6 Tb 2.80-2.95, 2 Li 2.99
Rh  0.2530  0.4195  0.0864  7 Tb 2.87-3.12, 1 Li 2.94
Rh  0.7470  0.9136  0.5805  7 Tb 2.87-3.12, 1 Li 2.94
Tb  0.5000  0.1498  0.8502  8 Rh 2.80-3.12
Tb  0.0000  0.3269  0.6731  8 Rh 2.87-2.95
Tb  0.5000  0.5000  0.5000  8 Rh 2.87-2.92
Tb  0.0000  0.6731  0.3269  8 Rh 2.87-2.95
Tb  0.5000  0.8502  0.1498  8 Rh 2.80-3.12
Li  0.0000  0.0000  0.0000  8 Rh 2.94-2.99, 4 Tb 3.19

Values from the calculation:
* formation energy: -0.75 eV per atom


Entry 3:
First-principles (PBE-GGA) data for Ba2SF after structural relaxation, as listed in the Alexandria database.

Unit cell a=4.3326 b=4.3326 c=7.3264 alpha=90.09 beta=107.14 gamma=119.94
Last column: nearest neighbours and their distance in Å.
Fractional positions:
Ba  0.4921  0.2461  0.7382  3 F 2.99, 3 S 3.08-3.09
Ba  0.5079  0.7539  0.2618  3 F 2.99, 3 S 3.08-3.09
S  0.0000  0.0000  0.0000  6 Ba 3.08-3.09
F  0.0000  0.4999  0.4999  6 Ba 2.99

Values from the calculation:
* calculated total energy: -19.08 eV for the cell shown


Entry 4:
First-principles (PBE-GGA) data for LaHo12Tm2 after structural relaxation, as listed in the Alexandria database.

Unit cell a=6.3507 b=6.3507 c=25.0539 alpha=90.00 beta=90.00 gamma=90.00
Last column: nearest neighbours and their distance in Å.
Fractional positions:
La  0.5000  0.0000  0.0000  4 Ho 3.43
La  0.0000  0.5000  0.0000  4 Ho 3.43
Ho  0.5000  0.5000  0.7813  5 Ho 3.07-3.39
Ho  0.0000  0.0000  0.7813  5 Ho 3.07-3.39
Ho  0.6822  0.8178  0.8798  7 Ho 3.27-3.39, 1 La 3.43
Ho  0.1822  0.6822  0.8798  7 Ho 3.27-3.39, 1 La 3.43
Ho  0.0000  0.0000  0.3412  5 Ho 3.07-3.41
Ho  0.3178  0.8178  0.1202  7 Ho 3.27-3.39, 1 La 3.43
Ho  0.8312  0.3312  0.5604  6 Ho 3.03-3.36
Ho  0.5000  0.5000  0.3412  5 Ho 3.07-3.41
Ho  0.3178  0.1822  0.8798  7 Ho 3.27-3.39, 1 La 3.43
Ho  0.8178  0.6822  0.1202  7 Ho 3.27-3.39, 1 La 3.43
Ho  0.3312  0.1688  0.5604  6 Ho 3.03-3.36
Ho  0.6688  0.1688  0.4396  6 Ho 3.03-3.36
Ho  0.0000  0.0000  0.6588  5 Ho 3.07-3.41
Ho  0.1688  0.3312  0.4396  6 Ho 3.03-3.36
Ho  0.1822  0.3178  0.1202  7 Ho 3.27-3.39, 1 La 3.43